**Entries**
'''
Molecular formula: C21H21BFMgN6OS
Method: DFT, ωB97M-V with the def2-TZVPD basis set

The geometry in XYZ format:
```
53
C21H21BFMgN6OS, DFT ωB97M-V with the def2-TZVPD basis set
S 2.8909 -1.1485 -0.7109
Mg 0.2675 0.0556 -1.1282
F 1.3875 -0.5417 -2.4839
O 1.6749 -0.9689 0.1333
N 0.7252 1.8827 1.7206
N -1.1506 -1.4997 -1.5682
N -0.9265 1.3097 -2.1220
N -2.0683 -1.7708 0.6347
N -0.6397 0.1744 0.6904
N 1.3907 1.7980 -0.5871
C -2.2583 -0.7509 4.9369
C -2.9678 -3.3957 -2.4784
C 2.7764 4.1721 -0.2029
C -2.9313 -3.0400 -1.1510
C 2.7895 -2.8666 -1.2869
C -2.0147 -2.0642 -0.7062
C -1.4482 -0.7853 1.2050
C 1.3799 2.3846 0.6217
C -2.0869 -2.7785 -3.3636
C 4.1771 -1.4726 0.5614
C -0.6566 0.9480 4.2863
C -0.7415 0.4683 2.9959
C 2.0922 3.5837 0.8349
C -0.1390 0.9180 1.7115
C -1.4307 0.3208 5.2584
C 2.7657 3.5555 -1.4518
C -2.3373 -1.2298 3.6324
C -1.2067 -1.8439 -2.8576
C -1.8260 2.0258 -2.2455
C 2.0622 2.3760 -1.5854
C -1.5672 -0.6015 2.6762
B -3.0422 2.9955 -2.4372
H 2.5609 -3.4980 -0.4295
H -2.8609 -1.2054 5.7144
H -0.4976 -1.3307 -3.4964
H -0.0191 1.7903 4.5224
H -3.5921 -3.4811 -0.4190
H 3.3104 5.1024 -0.0521
H -2.0846 -3.0199 -4.4173
H -3.0258 3.8004 -1.5282
H -2.9175 3.5467 -3.5107
H 1.9679 -2.8813 -1.9999
H -3.6733 -4.1389 -2.8299
H 3.2865 3.9836 -2.2970
H 3.8368 -2.2548 1.2396
H -2.9853 -2.0538 3.3632
H 4.2811 -0.5377 1.1116
H -4.0559 2.3273 -2.4045
H 3.7241 -3.1594 -1.7643
H 2.0165 1.8460 -2.5309
H -1.4048 0.6795 6.2805
H 5.1232 -1.7375 0.0889
H 2.0691 4.0123 1.8262
```

For the relative energy (zero: lowest compared OMol25 entry of this formula, charge and spin), the calculation gives 4.2 kcal per mole. The spin multiplicity is 1. The HOMO energy is -4.987 eV. The net charge is -1.

=====

Molecular formula: C38H88F14N13O30S14
Method: DFT, ωB97M-V with the def2-TZVPD basis set

The geometry in XYZ format:
```
197
C38H88F14N13O30S14, DFT ωB97M-V with the def2-TZVPD basis set
S -17.4182 1.1522 8.2043
S -12.5066 3.0620 9.1451
S -4.5772 -2.3148 9.5115
S -13.6817 0.6677 1.5949
S -8.3283 -2.5907 4.3807
S -12.8482 -4.6431 13.3328
S -10.6309 -4.2968 12.9749
S -6.6260 4.2303 3.4216
S -6.8191 2.3324 4.9694
S -6.1912 -4.0433 9.9100
S -15.9979 0.3267 6.4420
S -10.5681 4.2316 9.0663
S -13.7784 2.0505 -0.3301
S -7.8751 -4.5589 5.5547
F -9.7130 -4.3885 11.5879
F -5.1752 4.2519 2.7803
F -8.8387 -5.5977 6.2558
F -14.8097 2.5836 -1.4841
F -9.1051 3.9501 9.5927
F -17.7310 0.3010 9.5185
F -13.9271 -0.9551 1.6809
F -4.3199 -0.8625 10.1535
F -13.0759 1.5326 9.2489
F -13.9161 -5.7979 12.8946
F -6.2585 1.9252 6.4160
F -16.1051 -0.6444 5.1837
F -9.5604 -1.9037 3.5628
F -6.2912 -5.1366 11.0710
O -7.0144 5.5944 3.4180
O -7.1480 -3.8941 6.6484
O -10.7044 -2.8411 13.1782
O -10.2609 4.4984 7.6398
O -12.1826 -6.0255 8.6290
O -10.8922 5.3592 9.9284
O -12.6077 1.7481 -1.1342
O -12.8315 3.3714 7.7647
O -5.3342 -4.7938 9.0323
O -14.7196 -0.1008 7.0236
O -5.3452 -1.8781 8.3337
O -7.6206 -3.8649 9.6008
O -9.8668 -5.0112 14.0074
O -18.6096 1.8862 7.9098
O -7.4236 -2.8742 3.2513
O -13.6339 -3.4708 13.0776
O -14.3280 1.0800 2.8468
O -12.7243 -3.9079 6.0164
O -8.2609 2.3432 5.0978
O -7.3298 3.4066 2.4714
O -13.2213 3.7571 10.1748
O -12.2362 0.7974 1.5057
O -3.2586 -2.9242 9.1655
O -6.1554 1.3849 4.1375
O -16.0103 1.6375 5.8008
O -16.2362 1.8444 8.7264
O -7.1804 -5.3776 4.5816
O -7.9879 -1.5098 5.3354
O -13.7980 3.1962 0.5799
O -12.6777 -5.0445 14.7574
N -17.2558 -0.1194 7.1764
N -11.1645 2.1270 13.2035
N -11.8923 -5.1101 12.2724
N -9.1436 -3.6665 4.8735
N -13.9853 5.3029 4.7132
N -9.9514 -0.6280 8.3293
N -11.9120 -7.1688 10.6475
N -5.4191 -3.0972 10.7638
N -14.6001 0.9206 0.1376
N -16.4318 -4.1035 9.7125
N -11.1312 2.6659 9.5071
N -6.1239 3.6524 4.9273
N -11.4701 -4.8041 4.1492
C -8.6511 -0.2153 9.0119
C -16.0515 6.3887 3.9022
C -11.5619 0.9492 5.2205
C -12.4393 5.4221 4.9538
C -10.7948 -2.8934 8.8393
C -9.9744 1.5028 12.4254
C -14.3940 3.8914 4.2468
C -12.6832 0.2361 13.3385
C -14.5377 6.2702 3.6497
C -9.8975 -2.1013 7.7997
C -11.3786 -6.7233 9.2935
'''

**Request**
The reader should duplicate only the last part of the lines earlier on, starting with the line that has "-4.5772 -2.3148".

**Solution**
S -4.5772 -2.3148 9.5115
S -13.6817 0.6677 1.5949
S -8.3283 -2.5907 4.3807
S -12.8482 -4.6431 13.3328
S -10.6309 -4.2968 12.9749
S -6.6260 4.2303 3.4216
S -6.8191 2.3324 4.9694
S -6.1912 -4.0433 9.9100
S -15.9979 0.3267 6.4420
S -10.5681 4.2316 9.0663
S -13.7784 2.0505 -0.3301
S -7.8751 -4.5589 5.5547
F -9.7130 -4.3885 11.5879
F -5.1752 4.2519 2.7803
F -8.8387 -5.5977 6.2558
F -14.8097 2.5836 -1.4841
F -9.1051 3.9501 9.5927
F -17.7310 0.3010 9.5185
F -13.9271 -0.9551 1.6809
F -4.3199 -0.8625 10.1535
F -13.0759 1.5326 9.2489
F -13.9161 -5.7979 12.8946
F -6.2585 1.9252 6.4160
F -16.1051 -0.6444 5.1837
F -9.5604 -1.9037 3.5628
F -6.2912 -5.1366 11.0710
O -7.0144 5.5944 3.4180
O -7.1480 -3.8941 6.6484
O -10.7044 -2.8411 13.1782
O -10.2609 4.4984 7.6398
O -12.1826 -6.0255 8.6290
O -10.8922 5.3592 9.9284
O -12.6077 1.7481 -1.1342
O -12.8315 3.3714 7.7647
O -5.3342 -4.7938 9.0323
O -14.7196 -0.1008 7.0236
O -5.3452 -1.8781 8.3337
O -7.6206 -3.8649 9.6008
O -9.8668 -5.0112 14.0074
O -18.6096 1.8862 7.9098
O -7.4236 -2.8742 3.2513
O -13.6339 -3.4708 13.0776
O -14.3280 1.0800 2.8468
O -12.7243 -3.9079 6.0164
O -8.2609 2.3432 5.0978
O -7.3298 3.4066 2.4714
O -13.2213 3.7571 10.1748
O -12.2362 0.7974 1.5057
O -3.2586 -2.9242 9.1655
O -6.1554 1.3849 4.1375
O -16.0103 1.6375 5.8008
O -16.2362 1.8444 8.7264
O -7.1804 -5.3776 4.5816
O -7.9879 -1.5098 5.3354
O -13.7980 3.1962 0.5799
O -12.6777 -5.0445 14.7574
N -17.2558 -0.1194 7.1764
N -11.1645 2.1270 13.2035
N -11.8923 -5.1101 12.2724
N -9.1436 -3.6665 4.8735
N -13.9853 5.3029 4.7132
N -9.9514 -0.6280 8.3293
N -11.9120 -7.1688 10.6475
N -5.4191 -3.0972 10.7638
N -14.6001 0.9206 0.1376
N -16.4318 -4.1035 9.7125
N -11.1312 2.6659 9.5071
N -6.1239 3.6524 4.9273
N -11.4701 -4.8041 4.1492
C -8.6511 -0.2153 9.0119
C -16.0515 6.3887 3.9022
C -11.5619 0.9492 5.2205
C -12.4393 5.4221 4.9538
C -10.7948 -2.8934 8.8393
C -9.9744 1.5028 12.4254
C -14.3940 3.8914 4.2468
C -12.6832 0.2361 13.3385
C -14.5377 6.2702 3.6497
C -9.8975 -2.1013 7.7997
C -11.3786 -6.7233 9.2935